September 9, 2024
Super Testing Day for the PSAT NMSQT exam in Wednesday, October 9 for all 10th & 11th grade JA students. Testing will begin promptly at 8:30am and will be completed at approximately 11:30am. There will be NO SCHOOL for 7, 8, 9 & 12th grade students that day.
With the release of statewide assessment data from the 2023-24 school year, I am absolutely ecstatic to celebrate the outstanding achievements of our students. Jefferson Academy remained one of the highest achieving schools in Jeffco measured by the Scholastic Aptitude Test (SAT). On the 2024 SAT Reading & Writing assessment 92% of students met the college and career ready benchmark; with 75% doing so in Math. This is just an incredible representation of the amazing students at JA.
Not only is student achievement an valuable measure of school performance, but more importantly is a school's growth. A Median Growth Percentile (MGP) at the 50th percentile typically reflects average progress across all schools, but JA 11th graders earned scores beyond this expectation with an MGP at the 53rd percentile in reading & writing and the 66th percentile in mathematics on the SAT. This is nothing short of amazing. Student scores not only surpassed the district, state, and national averages, but they also demonstrate the incredible dedication and talent of our school community.
JA's strong academic program is just one of many reasons Jefferson Academy is such a great school. Please join me in celebrating our students' phenomenal success and the unwavering dedication of our teachers.
The first boosters meeting of the year will be virtual at 6 p.m. on Monday. This is a great way to be involved in supporting our school community. One of the reasons that Charter Schools are so successful is the involvement by all our stakeholders. Block of some time to support this month.
Spain & Portugal-2025
Spain & Portugal in 2025 for JA high school students will be an amazing immersive adventure that you will remember for the rest of your life--and we don't want you to miss out! We have the last in-person information meeting on Thursday, September 12th at 6:45pm in Room 134. Important note: EF has extended a $100 Early Enrollment Discount through the end of September. EF will be closing enrollment for the tour at the end of September. The easiest way to enroll for in-person meeting is online through our tour website. Here is the link to enroll to the trip through our tour website:
DC/NY 2026-For Current 7th Grade Students
Attention current 7th graders interested in the 2026-8th grade educational trip to Washington DC and New York City. There will be an informational meeting via Zoom on Wednesday, September 25 at 6pm. Interested families please RSVP via this link RSVP DC/NY. Space is limited for this trip-don't miss out on this amazing educational experience. Please contact Marti Porreco at with questions.
Transportation and Construction Girl Day will be September 26th
To find out more about this free event, go to Girls learn first hand about the financially sustainable and incredibly diverse careers in construction and transportation. A few of the exhibits will include: heavy equipment, paint simulator, excavator simulator, welding, survey equipment, drones, computer traffic program, masonry demo, VR design, soldering, electrical escape room, pipe bending and more.
National Suicide Prevention Awareness Week
September is National Suicide Prevention Awareness Month with National Suicide Prevention week running from September 8th through the 14th and World Suicide Prevention day on September 10th. Suicidal thoughts may affect anyone of any age, gender, or background. If you are worried about someone or yourself, this guide can share resources and steps to support. Your work may help prevent suicide at individual, community, and national levels.
Student Fees
Thank you for your patience while we worked through the student fee issues. We are pleased to share that all fees should now be available and up-to-date with student schedules. If you have already paid fees, thank you for being on top of it! However, there were some fees that were not showing up when fees first opened at the beginning of August. Due to this potential discrepancy, we are requesting all families log into the Parent Portal to double-check your student's accounts for any changes. JA Administration made reducing fees a priority this year, where possible, without impacting your student's experience. The fee paying guide is HERE to assist if you are having any troubles accessing those fees.
Parking Passes
Parking passes are now available! Students need to fill out the Parking Form and pay the $125 fee online before they can pick up their passes at the front office. Parking stickers need to be applied to the bottom right corner of the back window or as close to it as possible. At this time, students should have picked up their sticker in the main office and applied them to their vehicle. Fines for parking in the lot without a current parking pass may be given out starting Monday, September 9th.
Picture Orders & Picture Retake Day
The majority of proofs and orders have been delivered to all students during their D Block/last class of the day, however, some have found their way back to the main office! If you are missing an order or your student has not brought home the proof, please contact the main office.
Picture retake day is scheduled for the morning of September 19th. This is the last opportunity for students to have their school photo taken. All students must have their photo taken (including seniors) for Infinite Campus and school IDs, families then have the option to purchase the photos online through Lifetouch (
Attendance Awareness Month
September is Attendance Awareness Month and we hope that by creating exceptional student experiences your student will want to be at school every day. Currently, Jefferson Academy has an attendance rate of 97%. We hope to continue to see this awesome trend throughout the school year and believe we can do even better. Chronic absences can translate into students having difficulty learning that challenge their ability to achieve in middle school and graduating from high school. Read this research summary for more details.
Why does Attendance Matter?
Research demonstrates a strong connection between student attendance and academic performance. Regular attendance allows students to establish and nurture relationships. Research shows that students who miss two days of school per month can struggle with reading and this may lead to social-emotional stress. When your student misses school they also lose valuable learning time, can fall behind in their school work and as a result, it’s difficult to catch up.
Attendance in Infinite Campus
We do recognize that students may miss school over the course of the year. If your child will be absent for the whole day, it should be reported in Infinite Campus. These directions will walk you through the process. If your student will be coming in late, do not enter the tardy into Infinite Campus. You can call the main office or have your student bring in a doctor's note. Students leaving school early also are not reported, but please call the main office and we will document and release your student for the requested time.
Adapted Athletics
We are so proud of our high school baseball team which volunteered for Jeffco’s Adapted Athletic Cross Country Day. Adapted athletics is a program within Jeffco that provides athletic opportunities for students with disabilities. They run monthly events throughout the school year with the first taking place on August 28th .The baseball team supported Cross Country Day at Gold Crown–All-Star Park representing our school community well.
AV production
Enzymes & Chemical Reactions
AV Production
Monday, Sept. 9 - Boosters Meeting 6 p.m.
Tuesday, Sept. 10 -
Wednesday, Sept. 11 -
Thursday, Sept. 12 - Spain & Portugal Travel Meeting 6:45 p.m.
Friday, Sept. 13 -
Principal - Mr. Ryan Stadler; 303-465-7615,
Athletic Director - Mr. Dan Quaratino; 303-465-7616,
Activities Director - Mrs. Marti Porreco; 303-465-7617,
Director of Student Support Services - Ms. Kyrie Adams; 303-465-7621,
Records of molecules that have nothing to do with the text:
=====
An isolated molecule of C4H11BrOSi. Source: OMol25; level of theory: ωB97M-V with the def2-TZVPD basis set.

```
18
Properties=species:S:1:pos:R:3
C -1.385 -1.530 -1.315
C -0.242 2.080 1.735
C 0.175 -1.594 -1.121
C -0.452 1.010 0.556
O 2.177 0.567 -0.997
Si 0.741 -0.340 0.181
Br 1.766 -1.015 1.956
H -1.804 -1.059 -0.412
H -1.469 -0.946 -2.234
H -1.627 -2.568 -1.335
H 0.749 2.580 1.470
H -1.010 2.837 1.860
H 0.016 1.548 2.645
H 0.733 -1.450 -1.942
H 0.459 -2.689 -0.712
H -0.418 1.756 -0.348
H -1.427 0.441 0.675
H 3.017 0.372 -0.661
```

Properties
Expectation value of S² ... 2.005
Energy above the lowest of the compared OMol25 structures with the same formula, charge and spin ... 34.1 kcal per mole
2S+1 ... 3
Energy ... -3097.55512 a.u.
Gap between HOMO and LUMO (alpha / beta) ... 4.65 / 6.40 eV

=====

A 2-piece molecular cluster, C4H11BrSi overall. Source: OMol25; level of theory: ωB97M-V with the def2-TZVPD basis set.

```
17
Properties=species:S:1:pos:R:3
C 0.422 -2.423 0.398
C -0.826 1.835 -1.673
C -0.439 1.278 1.660
C 1.064 -1.383 -0.497
Si -0.791 0.686 -0.122
Br -2.828 -0.439 0.013
H 0.562 -2.272 1.399
H -0.616 -2.602 0.192
H 0.794 -3.308 0.079
H 0.190 1.794 -2.077
H -1.422 1.377 -2.333
H -1.308 2.722 -1.366
H 0.088 2.131 1.642
H -1.407 1.507 2.237
H 0.100 0.572 2.103
H 1.090 -1.419 -1.628
H 1.826 -0.794 -0.141
```

Properties
Energy above the lowest of the compared OMol25 structures with the same formula, charge and spin ... 69.7 kcal per mole
Energy ... -3022.44224 a.u.
Gap between HOMO and LUMO ... 8.20 eV

=====

A 2-piece molecular cluster, C4H11ClN3 overall. Source: OMol25; level of theory: ωB97M-V with the def2-TZVPD basis set.

```
19
Properties=species:S:1:pos:R:3
C 2.841 -0.721 -0.505
C 2.534 0.544 0.179
C 1.051 0.782 0.158
C -2.439 -0.266 -0.553
N -3.708 -1.645 0.785
N -2.942 -1.385 -0.281
N 0.347 1.922 0.124
Cl -2.812 1.281 0.229
H 3.105 -0.550 -1.610
H 1.887 -1.257 -0.458
H 3.659 -1.408 -0.213
H 2.613 0.497 1.227
H 3.110 1.427 -0.221
H 0.396 -0.016 0.179
H -1.716 -0.216 -1.397
H -4.109 -2.654 0.657
H 0.952 2.730 0.198
H -4.080 -0.927 1.386
H -0.689 1.860 0.117
```

Properties
Energy above the lowest of the compared OMol25 structures with the same formula, charge and spin ... 44.9 kcal per mole
Total charge ... +1
Energy ... -783.13672 a.u.
Gap between HOMO and LUMO ... 7.54 eV

=====

C4H11CrF3NO5S as an isolated structure. Source: OMol25; level of theory: ωB97M-V with the def2-TZVPD basis set.

```
26
Properties=species:S:1:pos:R:3
Cr -0.010 -8.820 16.056
F -1.998 -8.429 15.548
F -0.260 -7.344 17.447
F 0.728 -8.134 14.310
S -1.020 -11.172 16.806
O -0.491 -12.418 17.273
O -0.424 -10.741 15.563
O -2.472 -11.077 16.603
O -0.550 -10.018 17.558
C 4.057 -9.136 17.945
C 2.801 -8.475 17.356
C 3.103 -7.317 16.367
O 3.839 -6.303 16.980
C 4.116 -5.285 16.061
N 1.937 -9.503 16.738
H 4.517 -9.738 17.162
H 3.796 -9.768 18.794
H 4.715 -8.381 18.375
H 2.329 -7.910 18.160
H 2.226 -6.973 15.819
H 3.656 -7.743 15.530
H 4.727 -5.605 15.216
=====
The mission of Jefferson Academy is to help students attain their highest academic and character potential through an academically rigorous, content-rich educational program.
Jefferson Academy envisions a community of parents, teachers, students and educational and business leaders working together to create a learning environment that engenders growth in character, academic achievement, and the love of learning, resulting in responsible, productive citizens.